Source:
- - -
Entry 1:
Molecular formula: C45H94N
Method: DFT, ωB97M-V/def2-TZVPD

Its HOMO-LUMO gap is 3.60 eV. For the total energy, the calculation gives -49672.5654 eV. Its HOMO energy is -0.055 Eh. Its total charge is -1.

Each line ends with the Mulliken charge.
CARTESIAN COORDINATES (ANGSTROEM)
C 4.164 3.650 2.914  -1.179
C 4.627 2.114 2.787  0.563
C 6.245 2.110 3.051  -1.178
C 4.212 1.389 1.405  -0.728
C 3.090 2.194 0.537  -0.401
C 3.818 2.545 -0.857  0.292
C 3.177 3.779 -1.670  -0.871
C 2.708 5.020 -0.758  0.030
C 1.163 5.322 -1.115  -0.750
C 0.363 6.123 0.024  -0.815
C -0.426 5.115 1.031  -0.096
C -1.098 6.050 2.187  -0.800
C -2.492 5.452 2.714  -0.636
C -3.621 5.322 1.565  -0.017
C -5.105 5.334 2.211  -0.683
C -5.774 3.855 2.132  0.175
C -6.310 3.460 0.668  -0.683
N -5.902 2.034 0.412  0.254
C -6.817 0.930 0.113  -0.394
C -5.961 -0.378 -0.048  -0.491
C -4.446 -0.031 0.167  -0.390
C -4.552 1.489 0.424  -0.203
H 4.884 4.142 3.684  0.407
H 3.120 3.724 3.380  0.305
H 4.286 4.258 1.950  0.130
H 4.161 1.505 3.641  0.260
H 6.478 1.730 4.121  0.220
H 6.805 1.453 2.297  0.350
H 6.681 3.176 2.926  0.285
H 5.194 1.240 0.800  0.062
H 3.847 0.312 1.647  0.266
H 2.244 1.417 0.396  0.029
H 4.958 2.706 -0.770  0.365
H 3.695 1.607 -1.538  -0.769
H 2.304 3.488 -2.366  0.372
H 4.003 4.185 -2.375  0.269
H 2.921 4.907 0.358  -0.167
H 3.300 5.961 -1.100  0.350
H 1.178 6.004 -2.052  0.249
H 0.568 4.372 -1.379  0.377
H 1.092 6.757 0.643  0.247
H -0.455 6.825 -0.409  0.377
H -1.210 4.479 0.497  0.071
H 0.376 4.419 1.495  0.183
H -0.312 6.088 3.034  0.320
H -1.259 7.085 1.726  0.332
H -2.899 6.212 3.491  0.354
H -2.343 4.436 3.227  0.200
H -3.527 6.258 0.906  0.280
H -3.417 4.416 0.891  -0.039
H -5.794 6.135 1.778  0.321
H -4.948 5.530 3.343  0.229
H -4.988 3.138 2.564  0.339
H -6.679 3.819 2.848  -0.306
H -7.468 3.484 0.690  0.335
H -5.964 4.163 -0.172  0.208
H -7.951 0.976 -0.002  0.272
H -6.305 -1.436 -0.287  0.298
H -3.506 -0.669 0.161  0.389
H -3.757 2.274 0.655  0.231
C 2.936 -1.666 -6.945  -1.515
C 3.960 -2.319 -6.027  -0.072
C 3.332 -3.011 -4.816  -0.260
C 2.570 -2.089 -3.859  -0.513
C 3.386 -0.934 -3.275  -0.266
C 4.559 -1.395 -2.422  -1.064
H 2.385 -0.872 -6.436  0.336
H 3.435 -1.220 -7.809  0.437
H 2.218 -2.404 -7.315  0.294
H 4.694 -1.574 -5.706  0.327
H 4.516 -3.067 -6.602  0.118
H 4.120 -3.536 -4.265  -0.192
H 2.644 -3.788 -5.168  0.479
H 2.177 -2.698 -3.035  -0.068
H 1.694 -1.677 -4.370  0.428
H 2.724 -0.321 -2.654  0.345
H 3.748 -0.279 -4.075  0.289
H 4.214 -2.016 -1.590  0.199
H 5.083 -0.531 -2.005  0.404
H 5.282 -1.971 -3.007  0.254
C 0.843 -3.791 -0.123  -1.244
C -0.405 -3.964 -0.976  -0.240
C -1.705 -3.750 -0.199  -0.592
C -1.951 -4.735 0.948  -0.935
C -1.968 -6.212 0.549  -0.359
C -3.084 -6.559 -0.427  -1.195
H 0.887 -4.528 0.683  0.383
H 1.739 -3.920 -0.736  0.344
H 0.878 -2.792 0.320  0.299
H -0.397 -4.953 -1.446  0.250
H -0.369 -3.237 -1.796  0.298
H -2.545 -3.792 -0.901  0.379
H -1.709 -2.734 0.213  0.269
H -2.910 -4.483 1.419  0.426
H -1.191 -4.590 1.723  0.328
H -2.098 -6.814 1.455  0.371
H -1.003 -6.504 0.123  0.253
H -4.062 -6.316 -0.003  0.289
H -3.069 -7.630 -0.650  0.376
H -2.974 -6.023 -1.373  0.286
C 6.898 -4.468 -6.086  -1.124
C 6.129 -5.780 -6.023  -0.403
C 6.083 -6.388 -4.620  -0.445
C 7.443 -6.774 -4.031  -0.799
C 8.259 -7.764 -4.864  -0.378
C 7.578 -9.115 -5.031  -1.191
H 7.949 -4.603 -5.816  0.410
H 6.868 -4.063 -7.101  0.359
H 6.460 -3.727 -5.413  0.093
H 6.554 -6.492 -6.737  0.411
H 5.100 -5.595 -6.353  0.332
H 5.431 -7.268 -4.640  0.368
H 5.603 -5.675 -3.940  0.143
H 7.277 -7.200 -3.033  0.397
H 8.042 -5.871 -3.873  0.304
H 9.224 -7.919 -4.370  0.375
H 8.484 -7.340 -5.848  0.232
H 7.384 -9.577 -4.059  0.289
H 8.219 -9.791 -5.604  0.379
H 6.630 -9.026 -5.567  0.286
C -5.845 3.340 6.721  -1.130
C -6.842 2.404 6.051  -0.463
C -8.132 3.102 5.619  -0.271
C -8.961 3.707 6.757  -0.909
C -9.391 2.724 7.847  -0.439
C -10.297 1.614 7.334  -1.177
H -6.246 3.762 7.645  0.315
H -4.931 2.797 6.975  0.386
- - -

Request:
Your job: set down the whole of the contents above word for word.

Written answer:
Entry 1:
Molecular formula: C45H94N
Method: DFT, ωB97M-V/def2-TZVPD

Its HOMO-LUMO gap is 3.60 eV. For the total energy, the calculation gives -49672.5654 eV. Its HOMO energy is -0.055 Eh. Its total charge is -1.

Each line ends with the Mulliken charge.
CARTESIAN COORDINATES (ANGSTROEM)
C 4.164 3.650 2.914  -1.179
C 4.627 2.114 2.787  0.563
C 6.245 2.110 3.051  -1.178
C 4.212 1.389 1.405  -0.728
C 3.090 2.194 0.537  -0.401
C 3.818 2.545 -0.857  0.292
C 3.177 3.779 -1.670  -0.871
C 2.708 5.020 -0.758  0.030
C 1.163 5.322 -1.115  -0.750
C 0.363 6.123 0.024  -0.815
C -0.426 5.115 1.031  -0.096
C -1.098 6.050 2.187  -0.800
C -2.492 5.452 2.714  -0.636
C -3.621 5.322 1.565  -0.017
C -5.105 5.334 2.211  -0.683
C -5.774 3.855 2.132  0.175
C -6.310 3.460 0.668  -0.683
N -5.902 2.034 0.412  0.254
C -6.817 0.930 0.113  -0.394
C -5.961 -0.378 -0.048  -0.491
C -4.446 -0.031 0.167  -0.390
C -4.552 1.489 0.424  -0.203
H 4.884 4.142 3.684  0.407
H 3.120 3.724 3.380  0.305
H 4.286 4.258 1.950  0.130
H 4.161 1.505 3.641  0.260
H 6.478 1.730 4.121  0.220
H 6.805 1.453 2.297  0.350
H 6.681 3.176 2.926  0.285
H 5.194 1.240 0.800  0.062
H 3.847 0.312 1.647  0.266
H 2.244 1.417 0.396  0.029
H 4.958 2.706 -0.770  0.365
H 3.695 1.607 -1.538  -0.769
H 2.304 3.488 -2.366  0.372
H 4.003 4.185 -2.375  0.269
H 2.921 4.907 0.358  -0.167
H 3.300 5.961 -1.100  0.350
H 1.178 6.004 -2.052  0.249
H 0.568 4.372 -1.379  0.377
H 1.092 6.757 0.643  0.247
H -0.455 6.825 -0.409  0.377
H -1.210 4.479 0.497  0.071
H 0.376 4.419 1.495  0.183
H -0.312 6.088 3.034  0.320
H -1.259 7.085 1.726  0.332
H -2.899 6.212 3.491  0.354
H -2.343 4.436 3.227  0.200
H -3.527 6.258 0.906  0.280
H -3.417 4.416 0.891  -0.039
H -5.794 6.135 1.778  0.321
H -4.948 5.530 3.343  0.229
H -4.988 3.138 2.564  0.339
H -6.679 3.819 2.848  -0.306
H -7.468 3.484 0.690  0.335
H -5.964 4.163 -0.172  0.208
H -7.951 0.976 -0.002  0.272
H -6.305 -1.436 -0.287  0.298
H -3.506 -0.669 0.161  0.389
H -3.757 2.274 0.655  0.231
C 2.936 -1.666 -6.945  -1.515
C 3.960 -2.319 -6.027  -0.072
C 3.332 -3.011 -4.816  -0.260
C 2.570 -2.089 -3.859  -0.513
C 3.386 -0.934 -3.275  -0.266
C 4.559 -1.395 -2.422  -1.064
H 2.385 -0.872 -6.436  0.336
H 3.435 -1.220 -7.809  0.437
H 2.218 -2.404 -7.315  0.294
H 4.694 -1.574 -5.706  0.327
H 4.516 -3.067 -6.602  0.118
H 4.120 -3.536 -4.265  -0.192
H 2.644 -3.788 -5.168  0.479
H 2.177 -2.698 -3.035  -0.068
H 1.694 -1.677 -4.370  0.428
H 2.724 -0.321 -2.654  0.345
H 3.748 -0.279 -4.075  0.289
H 4.214 -2.016 -1.590  0.199
H 5.083 -0.531 -2.005  0.404
H 5.282 -1.971 -3.007  0.254
C 0.843 -3.791 -0.123  -1.244
C -0.405 -3.964 -0.976  -0.240
C -1.705 -3.750 -0.199  -0.592
C -1.951 -4.735 0.948  -0.935
C -1.968 -6.212 0.549  -0.359
C -3.084 -6.559 -0.427  -1.195
H 0.887 -4.528 0.683  0.383
H 1.739 -3.920 -0.736  0.344
H 0.878 -2.792 0.320  0.299
H -0.397 -4.953 -1.446  0.250
H -0.369 -3.237 -1.796  0.298
H -2.545 -3.792 -0.901  0.379
H -1.709 -2.734 0.213  0.269
H -2.910 -4.483 1.419  0.426
H -1.191 -4.590 1.723  0.328
H -2.098 -6.814 1.455  0.371
H -1.003 -6.504 0.123  0.253
H -4.062 -6.316 -0.003  0.289
H -3.069 -7.630 -0.650  0.376
H -2.974 -6.023 -1.373  0.286
C 6.898 -4.468 -6.086  -1.124
C 6.129 -5.780 -6.023  -0.403
C 6.083 -6.388 -4.620  -0.445
C 7.443 -6.774 -4.031  -0.799
C 8.259 -7.764 -4.864  -0.378
C 7.578 -9.115 -5.031  -1.191
H 7.949 -4.603 -5.816  0.410
H 6.868 -4.063 -7.101  0.359
H 6.460 -3.727 -5.413  0.093
H 6.554 -6.492 -6.737  0.411
H 5.100 -5.595 -6.353  0.332
H 5.431 -7.268 -4.640  0.368
H 5.603 -5.675 -3.940  0.143
H 7.277 -7.200 -3.033  0.397
H 8.042 -5.871 -3.873  0.304
H 9.224 -7.919 -4.370  0.375
H 8.484 -7.340 -5.848  0.232
H 7.384 -9.577 -4.059  0.289
H 8.219 -9.791 -5.604  0.379
H 6.630 -9.026 -5.567  0.286
C -5.845 3.340 6.721  -1.130
C -6.842 2.404 6.051  -0.463
C -8.132 3.102 5.619  -0.271
C -8.961 3.707 6.757  -0.909
C -9.391 2.724 7.847  -0.439
C -10.297 1.614 7.334  -1.177
H -6.246 3.762 7.645  0.315
H -4.931 2.797 6.975  0.386